The map looks great and the design is interesting. I do however think you should set it up with some objective games.
This map looks amazing. You should really make it work with some objective gametypes. i think this map would really go good with ctf. I cant wait...
The map looks a little clustered but overall well forged. I would add a few more pics of the map and maybe some action shots so other players can...
Epic monster dude. This looks like a fun map. I will give it a dl.
Dude your maps are just amazing. I love the detail that you put into your maps. I did play on this map already and the only thing that I would...
The aesthetics on this map are spectacular. I always did like your maps. You should use your forging skill to make an amazing battle or race map.
The map is forged really well and don't get me wrong I love the map guardian but there has been to many remakes in the past week or two. I also...
It looks ok from what i can see but its a little to bright and kind of covers up the spartan. If you tried to do that than just forget what i said.
## The text is interrupted by quantum chemistry results
'''
C49H46AsCaF6N2P4S6 | ωB97M-V with the def2-TZVPD basis set

Geometry (Å):
Ca (1.048, -0.203, -0.685)
S (2.254, 4.219, 4.440)
As (2.493, 2.264, 3.690)
S (3.276, 2.229, 1.578)
S (1.302, 1.534, 1.455)
S (3.536, 1.004, 5.023)
C (1.532, -7.022, 3.368)
C (2.383, -5.951, 3.139)
C (1.907, -4.807, 2.528)
C (0.575, -4.713, 2.134)
C (-0.273, -5.788, 2.375)
C (0.204, -6.933, 2.988)
P (0.094, -3.146, 1.300)
C (-1.712, -3.470, 1.227)
C (-2.432, -3.289, 2.410)
C (-3.801, -3.470, 2.431)
C (-4.471, -3.823, 1.270)
C (-3.762, -3.996, 0.093)
C (-2.388, -3.831, 0.069)
C (0.770, -3.539, -0.352)
C (0.731, -4.837, -0.861)
C (1.407, -5.139, -2.026)
C (2.165, -4.153, -2.640)
C (2.177, -2.863, -2.130)
C (1.462, -2.494, -0.984)
H (1.896, -7.919, 3.851)
H (3.417, -6.013, 3.446)
H (2.562, -3.964, 2.353)
H (-1.313, -5.729, 2.084)
H (-0.471, -7.761, 3.166)
H (-1.907, -3.013, 3.317)
H (-4.349, -3.330, 3.353)
H (-5.543, -3.969, 1.290)
H (-4.283, -4.271, -0.814)
H (-1.835, -3.987, -0.848)
H (0.179, -5.613, -0.344)
H (1.358, -6.140, -2.442)
H (2.749, -4.393, -3.522)
H (2.781, -2.123, -2.644)
C (-6.564, 4.882, -2.072)
S (-6.676, 3.078, -2.238)
C (-6.601, 2.582, -0.486)
C (-5.245, 2.792, 0.166)
C (-4.153, 2.037, -0.599)
N (-2.928, 1.928, 0.177)
P (-1.461, 2.709, -0.309)
C (-2.168, 4.417, -0.336)
C (-2.057, 5.185, 0.822)
C (-2.623, 6.444, 0.895)
C (-3.279, 6.977, -0.204)
C (-3.361, 6.238, -1.374)
C (-2.819, 4.969, -1.438)
C (-1.361, 2.496, -2.134)
C (-1.997, 1.479, -2.834)
C (-1.909, 1.416, -4.215)
C (-1.163, 2.357, -4.904)
C (-0.489, 3.350, -4.210)
C (-0.584, 3.418, -2.834)
P (-2.563, 0.366, 0.911)
C (-4.208, 0.110, 1.726)
C (-4.502, 0.587, 3.004)
C (-5.739, 0.380, 3.579)
C (-6.722, -0.311, 2.883)
C (-6.431, -0.828, 1.628)
C (-5.189, -0.624, 1.059)
C (-1.665, 0.943, 2.389)
C (-1.781, 2.220, 2.930)
C (-1.137, 2.538, 4.110)
C (-0.382, 1.579, 4.773)
C (-0.279, 0.297, 4.249)
C (-0.903, -0.012, 3.055)
H (-6.599, 5.289, -3.078)
H (-5.625, 5.151, -1.598)
H (-7.409, 5.244, -1.492)
H (-6.848, 1.520, -0.495)
H (-7.389, 3.127, 0.034)
H (-5.293, 2.407, 1.187)
H (-5.002, 3.856, 0.219)
H (-3.969, 2.549, -1.547)
H (-4.546, 1.041, -0.835)
H (-1.507, 4.795, 1.666)
H (-2.550, 7.019, 1.808)
H (-3.719, 7.964, -0.157)
H (-3.852, 6.652, -2.246)
H (-2.898, 4.411, -2.361)
H (-2.586, 0.746, -2.302)
H (-2.431, 0.632, -4.750)
H (-1.102, 2.316, -5.982)
H (0.123, 4.065, -4.741)
H (-0.062, 4.198, -2.294)
H (-3.746, 1.123, 3.554)
H (-5.928, 0.755, 4.577)
H (-7.700, -0.452, 3.321)
H (-7.181, -1.390, 1.087)
H (-4.970, -1.044, 0.085)
H (-2.388, 2.950, 2.413)
H (-1.204, 3.540, 4.513)
H (0.116, 1.829, 5.703)
H (0.318, -0.445, 4.763)
H (-0.794, -0.993, 2.608)
F (1.206, 0.255, -3.022)
P (2.624, 1.104, -3.122)
F (3.199, -0.042, -4.117)
F (3.213, 0.262, -1.845)
F (2.027, 1.908, -4.391)
F (1.996, 2.197, -2.103)
F (4.001, 1.927, -3.226)
S (-2.036, -2.657, -4.430)
C (-3.157, -2.245, -3.177)
C (-2.495, -1.673, -2.132)
N (-1.163, -1.546, -2.288)
C (-0.767, -2.006, -3.426)
H (-4.203, -2.440, -3.300)
H (-2.943, -1.349, -1.207)
'''
## Back to the text
I agree with the others about the second one. The pics are ok but i understand its not so easy to make amazing pics on reach. Mess around with...
Overall this looks like a great map for team and objective games. The only thing that i dont like is being able to walk on the grid. You can...
- - -
Entry from the Open Molecules 2025 dataset: an isolated molecule of C3H3N5 at a distorted geometry (ωB97M-V/def2-TZVPD).

Calculated values
HOMO, eV: -9.387
F_max, hartree/bohr: 0.1396
Structure (SMILES): [H]/N=c1/ncncnn1
Energy relative to the best compared isomer or geometry (same formula, charge and spin), kJ/mol: 396.3
Gap between HOMO and LUMO, eV: 8.146

```
11
Properties=species:S:1:pos:R:3:forces:R:3
H -2.49613 0.58694 0.98093 0.5 -1.9 -0.6
N -2.09052 -0.34963 0.62881 -2.5 2.1 2.1
C -1.18479 -0.10276 -0.14917 4.1 2.0 -2.1
N -0.41086 -1.00378 -0.84836 2.7 -2.9 1.0
C 0.82104 -1.37292 -0.37096 -4.9 -0.4 -5.2
N 1.41002 -0.58573 0.54703 1.2 4.2 0.1
C 1.25404 0.76326 0.38782 0.1 -2.0 0.4
N 0.51365 1.68487 -0.51413 -2.5 -4.3 1.1
N -0.70057 1.29065 -0.67004 0.7 0.6 -0.2
H 1.19092 -2.37702 -1.08025 -0.2 3.2 2.9
H 1.69321 1.46611 1.08832 0.6 -0.7 0.4
```
Positions in Å, forces in eV/Å.
- - -
This map looks very well layed out especially for warthog battles. I cant wait to try this. The only thing that might be bad about it is that you...
I dont think anybody will have one but there might be a website that gives them away so i would try browsing the internet to see if you can find...
I am so downloading this. I always loved your maps and this race just looks amazing. I dont usually like this style of racing but Ill test it out....
From what i can see the map looks ok but i would suggest adding a couple more pics. I will say it is a good idea to set it up with multiple...
I think the helmet is pretty cool. Ijust hope that if they add it to reach they dont make you pay a rediculous price for it.
I agree with elite, but if i would buy one it would have to be master chief. I also agree with lucoz that they should add an option in mm.
Good idea setting it up with most gametypes. Ill give it a dl and test out. The forging is also very good as well. Cant wait to see your next map/
This is definently worth my dl. I cant wait to test it out. I also agree with codmando72, nice mix of rocks and blocks.
I do say this map is well layed out and should be put into matchmaking. Like other comments said it is a very good map i guess is what im trying...
I would want some easier areas to forge in and maybe some better areas for races.